File >
........
(1)
# Sm2Si5Rh3 r2SCAN relaxed
data_Sm2Si5Rh3
_symmetry_space_group_name_H-M 'P 1'
_symmetry_Int_Tables_number 1
_cell_length_a 8.1807
_cell_length_b 8.1815
_cell_length_c 8.1810
_cell_angle_alpha 138.63
_cell_angle_beta 105.61
_cell_angle_gamma 88.88
loop_
_symmetry_equiv_pos_as_xyz
'x,y,z'
loop_
_atom_site_label
_atom_site_type_symbol
_atom_site_fract_x
_atom_site_fract_y
_atom_site_fract_z
Rh1 Rh 0.9696 0.8607 0.1089
Si1 Si 0.2771 0.0270 0.7499
Sm1 Sm 0.1006 0.3687 0.7320
Rh2 Rh 0.5000 0.2499 0.7499
Rh3 Rh 0.7516 0.3607 0.3910
Si2 Si 0.7613 0.1062 0.6550
Si3 Si 0.7229 0.4727 0.7499
Si4 Si 0.4513 0.6063 0.8451
Sm2 Sm 0.8994 0.6313 0.2680
Rh4 Rh 0.5000 0.7501 0.2501
Si5 Si 0.9999 0.7499 0.7499
Rh5 Rh 0.0304 0.1393 0.8911
Sm3 Sm 0.6368 0.8688 0.7680
Si6 Si 0.2387 0.8938 0.3450
Si7 Si 0.7229 0.9730 0.2501
Rh6 Rh 0.2484 0.6393 0.6090
Si8 Si 0.5487 0.3937 0.1549
Si9 Si 0.0001 0.2501 0.2501
Sm4 Sm 0.3632 0.1312 0.2320
Si10 Si 0.2771 0.5273 0.2501
# E_form, eV per atom: -1.03

***

(2)
# Sm3Si2Rh2 r2SCAN relaxed
data_Sm3Si2Rh2
_symmetry_space_group_name_H-M 'P 1'
_symmetry_Int_Tables_number 1
_cell_length_a 5.6238
_cell_length_b 7.8987
_cell_length_c 13.2125
_cell_angle_alpha 90.00
_cell_angle_beta 90.00
_cell_angle_gamma 90.00
loop_
_symmetry_equiv_pos_as_xyz
'x,y,z'
loop_
_atom_site_label
_atom_site_type_symbol
_atom_site_fract_x
_atom_site_fract_y
_atom_site_fract_z
Si1 Si 0.1506 0.3999 0.7500
Rh1 Rh 0.3730 0.0334 0.0905
Sm1 Sm 0.6383 0.2470 0.2500
Si2 Si 0.1506 0.1001 0.2500
Rh2 Rh 0.3730 0.0334 0.4095
Sm2 Sm 0.1389 0.3896 0.3987
Rh3 Rh 0.6270 0.5334 0.0905
Rh4 Rh 0.3730 0.4666 0.9095
Sm3 Sm 0.3617 0.7470 0.2500
Sm4 Sm 0.8611 0.6103 0.8987
Sm5 Sm 0.6383 0.2530 0.7500
Sm6 Sm 0.8611 0.8896 0.1013
Rh5 Rh 0.6270 0.9666 0.5905
Si3 Si 0.8494 0.6001 0.2500
Si4 Si 0.6277 0.2500 0.5000
Sm7 Sm 0.1389 0.3896 0.1013
Sm8 Sm 0.8611 0.6103 0.6013
Rh6 Rh 0.6270 0.9666 0.9095
Rh7 Rh 0.6270 0.5334 0.4095
Si5 Si 0.3723 0.7500 0.0000
Sm9 Sm 0.1389 0.1104 0.6013
Si6 Si 0.6277 0.2500 0.0000
Sm10 Sm 0.8611 0.8896 0.3987
Si7 Si 0.3723 0.7500 0.5000
Sm11 Sm 0.3617 0.7530 0.7500
Sm12 Sm 0.1389 0.1104 0.8987
Rh8 Rh 0.3730 0.4666 0.5905
Si8 Si 0.8494 0.8999 0.7500
# E_form, eV per atom: -0.96

***

(3)
# TaSiRh r2SCAN relaxed
data_TaSiRh
_symmetry_space_group_name_H-M 'P 1'
_symmetry_Int_Tables_number 1
_cell_length_a 3.7421
_cell_length_b 6.3844
_cell_length_c 7.2936
_cell_angle_alpha 90.00
_cell_angle_beta 90.00
_cell_angle_gamma 90.00
loop_
_symmetry_equiv_pos_as_xyz
'x,y,z'
loop_
_atom_site_label
_atom_site_type_symbol
_atom_site_fract_x
_atom_site_fract_y
_atom_site_fract_z
Si1 Si 0.2500 0.7677 0.6246
Rh1 Rh 0.7500 0.3557 0.0638
Ta1 Ta 0.7500 0.9745 0.8270
Si2 Si 0.7500 0.7323 0.1246
Rh2 Rh 0.7500 0.8557 0.4362
Ta2 Ta 0.7500 0.4745 0.6730
Ta3 Ta 0.2500 0.5255 0.3270
Rh3 Rh 0.2500 0.1443 0.5638
Si3 Si 0.7500 0.2323 0.3754
Ta4 Ta 0.2500 0.0255 0.1730
Rh4 Rh 0.2500 0.6443 0.9362
Si4 Si 0.2500 0.2677 0.8754
# E_form, eV per atom: -0.88

***

(4)
# TbSi2Rh3 r2SCAN relaxed
data_TbSi2Rh3
_symmetry_space_group_name_H-M 'P 1'
_symmetry_Int_Tables_number 1
_cell_length_a 5.4942
_cell_length_b 5.4941
_cell_length_c 3.6494
_cell_angle_alpha 90.00
_cell_angle_beta 90.00
_cell_angle_gamma 120.00
loop_
_symmetry_equiv_pos_as_xyz
'x,y,z'
loop_
_atom_site_label
_atom_site_type_symbol
_atom_site_fract_x
_atom_site_fract_y
_atom_site_fract_z
Rh1 Rh 0.0000 0.5000 0.5000
Rh2 Rh 0.5000 0.5000 0.5000
Tb1 Tb 0.0000 0.0000 0.0000
Si1 Si 0.3333 0.6667 0.0000
Si2 Si 0.6667 0.3333 0.0000
Rh3 Rh 0.5000 0.0000 0.5000
# E_form, eV per atom: -1.09

***

(5)
# Th2Si3Rh r2SCAN relaxed
data_Th2Si3Rh
_symmetry_space_group_name_H-M 'P 1'
_symmetry_Int_Tables_number 1
_cell_length_a 7.6910
_cell_length_b 7.6910
_cell_length_c 7.6910
_cell_angle_alpha 149.08
_cell_angle_beta 148.06
_cell_angle_gamma 45.05
loop_
_symmetry_equiv_pos_as_xyz
'x,y,z'
loop_
_atom_site_label
_atom_site_type_symbol
_atom_site_fract_x
_atom_site_fract_y
_atom_site_fract_z
Th1 Th 0.7524 0.2524 0.5000
........

Job >
Say how many lines of the data further above hold the word "Si4", as a bare number.

Worked solution >
3